This fourth post in my REF analysis series compares computing sub-panel results across different types of institution.
Spoiler: new universities appear to have been disadvantaged in funding by at least 50%
When I first started analysing the REF results I expected a level of bias between areas; it is a human process and we all bring our own expectations, and ways of doing things. It was not the presence of bias that was shocking, but the size of the effect.
I had assumed that any bias between areas would have largely ‘averaged out’ at the level of Units of Assessment (or UoA, REF-speak typically corresponding to a department), as these would typically include a mix of areas. However, this had been assuming maybe a 10-20% difference between areas; once it became clear this was a huge 5-10 fold difference, the ‘averaging out’ argument was less certain.
The inter-area differences are crucially important, as emphasised in previous posts, for the careers of those in the disadvantaged areas, and for the health of computing research in the UK. However, so long as the effects averaged out, they would not affect the funding coming to institutions when algorithmic formulae are applied (including all English universities, where HEFCE allocate so called ‘QR’ funding based on weighted REF scores).
Realising how controversial this could be, I avoided looking at institutions for a long time, but it eventually became clear that it could not be ignored. In particular, as post-1992 universities (or ‘new universities’) often focus on more applied areas, I feared that they might have been consequentially affected by the sub-area bias.
It turns out that while this was right to an extent, in fact the picture is worse than I expected.
As each output is assigned to an institution it is possible to work out profiles for each institution based on the same measures as sub-areas (as described in the second and third posts in this series): using various types of Scopos and Google scholar raw citations and the ‘world rankings’ adjustments using the REF contextual data tables. Just as with the sub-areas, the different kinds of metrics all yield roughly similar results.
The main difference when looking at institutions compared to the sub-areas is that, of the 30 or so sub-areas, many are large enough (many hundreds of outputs) to examine individually with confidence that the numbers are statistically robust. In contrast, there were around 90 institutions with UoA submissions in computing, many with less than 50 outputs assessed (10-15 people), so getting towards the point were one would expect that citation measures to be imprecise for each one alone.
However, while, with a few exceptions such as UCL, Edinburgh and Imperial, the numbers for a single institution make it hard to say anything definitive, we can reliably look for overall trends.
One of the simplest single measures is the GPA for each institution (weighed sum with 4 for a 4*, 3 for a 3*, etc.) as this is a measure used in many league tables. The REF GPA can be compared to the predicted GPA based on citations.

While there is some scatter, which is to be expected given the size of each institution, there is also a clear tendency towards the diagonal.
Another measure frequently used is the ‘research power’, the GPA multiplied by the number of people in the submission.

This ‘stretches’ out the institutions and in particular makes the larger submissions (where the metrics are more reliable) stand out more. It is not surprising that this is more linear as, the points are equally scaled by size irrespective of the metric. However, the fact that it clusters quite closely to the diagonal at first seems to suggest that, at the level of institutions, the computing REF results are robust.
However, while GPA is used in many league tables, funding is not based on GPA. Where funding is formulaic (as it is with HEFCE for English universities), the combined measure is very heavily weighted towards 4*, with no money at all being allocated to 2* and 1*.
For RAE2008, the HEFCE weighting was approximately 3:1 between 4* and 3*, for REF2014 funding is weighted even more highly towards 4* at 4:1.
The next figure shows the equivalent of ‘power’ using a 4:1 ratio – roughly proportional to the amount of money under the HEFCE formula (although some of the institutions are not English, so will have different formula applied). Like the previous graphs this plots the actual REF money-related power compared the one predicted by citations.

Again the data is very spread out with three very large institutions (UCL, Edinburgh and Imperial) on the upper right and the rest in more of a pack in the lower left. UCL is dead on line, but the next two institutions look like outliers, doing substantially better under REF than citations would predict, and then further down there is more of a spread, with some below, some above the line.
This massed group is hard to see clearly because of the stretching, so the following graph shows the non-volume weighted results, that is simple 4:1 ratio (I have dubbed GPA #). This is roughly proportional to money per member of staff, and again citation-based prediction along the lower axis, actual REF values vertical axis.

The red line shows the prediction line. There is a rough correlation, but also a lot of spread. Given remarks earlier about the sizes of individual institutions this is to be expected. The crucial issue is whether there are any systematic effects, or whether this is purely random spread.
The two green lines show those UoAs with REF money-related scores 25% or more than expected, the ‘winners’ (above top left) and those with REF score 25% or more below prediction, the ‘losers’ (lower right).
Of 17 winners 16 are pre-1992 (‘old’) universities with just one post-1992 (‘new’) university. Furthermore of the 16 old university winners, 10 of these come from the 24 Russell Group universities.
Of the 35 losers, 25 are post-1992 (‘new’) universities and of the 10 ‘old’ university losers, there is just 1 Russell Group institution.

The exact numbers change depending on which precise metric one uses and whether one uses a 4:1, or 3:1 ratio, but the general pattern is the same.
Note this is not to do with who gets more or less money in total, whatever metric one uses, on average, the new universities tend to be lower, the old ones (on average) higher and Russell Group (on average) higher still. The issue here is about an additional benefit of reputation over and above this raw quality effect. For works that by external measures are of equal value, there appears to be at least 50-100% added benefit if they are submitted from a more ‘august’ institution.
To get a feel for this, let’s look at a specific example: one of the big ‘winners’, YYYYYYYY, a Russell Group university, compared with one of the ‘losers’, XXXXXXXX, a new university.
As noted one has to look at individual institutions with some caution as the numbers involved can be small, but XXXXXXXX is one of the larger (in terms of submission FTE) institutions in the ‘loser’ category; with 24.7 FTE and nearly 100 outputs. It also happened (by chance) to sit only one row above YYYYYYYY on the spreadsheet, so easy to compare. YYYYYYYY is even larger, nearly 50 FTE, 200 outputs.
At 100 and 200 outputs, these are still, in size, towards the smaller end of the sub-area groups we were looking at in the previous two posts, so this should be taken as more illustrative of the overall trend, not a specific comment on these institutional submissions.
This time we’ll first look at the citation profiles for the two.
The spreadsheet fragment below shows the profiles using raw Scopos citation measures. Note in this table, the right hand column, the upper quartile is the ‘best’ column.

The two institutions look comparable, XXXXXXXX is slightly higher in the very highest cited papers, but effectively differences within the noise.
Similarly, we can look at the ‘world ranks’ as used in the second post. Here the left hand side is ‘best, corresponding to the percentage of outputs that are within the best 1% of their area worldwide.

┌──
# 1
Density functional theory data (the ωB97M-V functional and the def2-TZVPD basis) for the molecule C4H12N4O.

Structure (XYZ):
```
21
C4H12N4O (the ωB97M-V functional and the def2-TZVPD basis)
C -0.56529 -0.59858 -1.88824
N 1.26807 2.08746 -0.85109
C 0.97581 0.75155 -0.57487
N -0.35490 0.37263 -0.84131
H 2.12322 2.42678 -0.43152
H 0.47915 2.69560 -0.67828
H 1.78611 0.09098 -0.93319
H -0.35742 -0.15191 -2.86659
H 0.05491 -1.50672 -1.79618
H -1.61205 -0.90659 -1.88036
C -0.76980 -1.50997 1.03459
C -0.44499 -0.04651 0.87735
N -1.35421 0.78718 1.51521
O 1.81376 -0.56326 1.50192
N 0.89423 0.41524 1.06018
H 1.97629 -1.19274 0.77837
H -2.30161 0.69664 1.17516
H -1.04873 1.75090 1.53642
H -0.65265 -1.78054 2.08437
H -0.10696 -2.12658 0.43332
H -1.80294 -1.69158 0.74474
```

HOMO = -8.309 eV
gap between HOMO and LUMO = 0.3396 Eh
energy relative to the best compared isomer or geometry (same formula, charge and spin) = 89.1 kcal/mol
E = -12347.444 eV
SMILES string = CN1[C@@H](N)N(O)[C@@]1(C)N


# 2
Density functional theory data (the ωB97M-V functional and the def2-TZVPD basis) for a structure of composition C23H67N8O13V.

Structure (XYZ):
```
112
C23H67N8O13V (the ωB97M-V functional and the def2-TZVPD basis)
O 3.81809 3.30112 2.31341
V 4.15194 1.75313 2.51947
O 5.52196 1.48199 1.78639
C 1.12655 -0.55235 -0.09343
C 1.34631 0.82983 0.53007
C 0.14827 1.14942 1.40271
O 2.57942 0.95379 1.17828
H 1.15904 -1.35852 0.64580
H 1.90540 -0.75785 -0.83074
H 0.15906 -0.62105 -0.59493
H 1.32267 1.54900 -0.30668
H -0.75143 0.92350 0.84118
H 0.14894 2.19242 1.73596
H 0.22777 0.64561 2.36977
C 4.31234 -1.36917 3.28694
O 4.73049 -0.22446 3.51754
N 5.09116 -2.45108 3.54782
N 3.10426 -1.63399 2.72853
H 4.95466 -3.32206 3.07788
H 5.90172 -2.26166 4.11096
H 2.94425 -2.52934 2.30795
H 2.67349 -0.79403 2.33119
C 1.91144 0.94951 5.16354
O 2.63372 1.46742 4.30170
N 2.01309 1.31609 6.46791
N 0.95449 0.02833 4.86338
H 1.34508 1.02814 7.15261
H 2.72199 2.01788 6.59852
H 1.04781 -0.27965 3.90927
H 0.48732 -0.37370 5.65012
C 2.14650 2.35336 -4.48076
O 1.87147 2.63370 -5.64193
N 1.69659 3.13398 -3.43174
N 2.86134 1.27687 -4.06227
H 1.84579 3.02314 -2.44916
H 1.12746 3.89791 -3.75677
H 3.10628 0.62332 -4.78729
H 3.01295 1.05314 -3.09619
C 5.25334 0.25947 -1.21143
O 6.32674 0.28970 -1.80779
N 4.84742 -0.84959 -0.51817
N 4.36049 1.28622 -1.15839
H 3.94169 -0.81279 -0.08051
H 5.27919 -1.75013 -0.54283
H 4.62441 2.17007 -1.55637
H 3.65314 1.22337 -0.43179
C -2.99993 0.27515 2.13289
C -4.06142 0.99030 1.33834
O -5.19642 1.29937 2.15065
H -2.30921 -0.22514 1.44921
H -3.39127 -0.57008 2.70428
H -2.43694 0.91498 2.81322
H -4.40070 0.34957 0.52225
H -3.66934 1.91001 0.89114
H -4.97197 2.08712 2.65505
C 0.05448 4.95113 -0.11996
C 0.33751 6.44632 -0.07001
O 1.09213 6.78240 -1.22024
H 1.01655 4.46895 0.06511
H -0.42749 4.66958 -1.05598
H -0.61480 4.61550 0.67547
H 0.82366 6.62400 0.89588
H -0.61748 6.98740 -0.08048
H 1.23028 7.73505 -1.16211
C -4.73630 -2.87322 -1.98069
└──

Again XXXXXXXX is slightly above YYYYYYYY, but basically within noise.
If you look at other measures: citations for ‘relable years’ (2011 and older, where there has been more time to gather cites), XXXXXXXX looks a bit stronger, for Google-based citations YYYYYYYY looks a bit stronger.
So, except for small variations, these two institutions, one a new university, one a Russell Group one, look comparable in terms external measures.
However, the REF scores paint a vastly different picture. The respective profiles are below:

Next to the text, the page also holds quantum chemistry results:
Formula: C23H22I2MnN6O
Source: the Open Molecules 2025 dataset
Level of theory: ωB97M-V/def2-TZVPD

E_HOMO (spin up / spin down) = -7.2 / -6.8 eV
expectation value of S² = 0.776
calculated total energy = -3039.912697 Eh
orbital gap (spin up / spin down) = 0.256 / 0.242 hartree
maximum force = 1.19 eV Å⁻¹
energy relative to the best compared isomer or geometry (same formula, charge and spin) = 0.0 kcal per mole

Structure (ORCA input):
```
! RIJCOSX wB97M-V def2-TZVPD def2/J DEFGRID3
* xyz 0 2
Mn 0.4455 -1.0952 -0.0247
C -0.0542 2.1529 -2.7594
C 0.2909 0.8904 -2.0416
N -0.0621 0.6071 -0.8372
N -0.7852 1.4765 -0.0773
C -0.9600 0.9276 1.1255
O -0.5062 -0.2012 1.4864
C -1.7502 1.7165 2.1135
C -1.9643 1.1895 3.3820
C -2.7053 1.8997 4.3150
C -3.2329 3.1398 3.9843
C -3.0177 3.6704 2.7185
C -2.2791 2.9619 1.7846
C 1.1010 -0.1765 -2.6586
C 1.5860 -0.1030 -3.9558
C 2.3379 -1.1575 -4.4551
C 2.5834 -2.2511 -3.6450
C 2.0699 -2.2551 -2.3552
N 1.3474 -1.2492 -1.8698
H -0.6402 2.7856 -2.0989
H -0.6360 1.9454 -3.6608
H 0.8450 2.6933 -3.0659
H -1.5393 0.2245 3.6238
H -2.8686 1.4858 5.3017
H -3.8109 3.6938 4.7131
H -3.4270 4.6388 2.4608
H -2.1032 3.3599 0.7953
H 1.3705 0.7670 -4.5600
H 2.7233 -1.1216 -5.4657
H 3.1626 -3.0943 -3.9927
H 2.2282 -3.0828 -1.6743
I 1.1504 -3.3571 1.0785
C -2.4276 -2.6569 1.3923
C -2.3667 -2.3969 -0.0696
N -1.4079 -1.7983 -0.7511
C -1.8058 -1.7946 -2.0724
C -3.0160 -2.3916 -2.1908
N -3.3612 -2.7625 -0.9121
H -1.6456 -2.0963 1.8922
H -2.2730 -3.7160 1.6007
H -3.3979 -2.3530 1.7904
H -1.2002 -1.3597 -2.8467
H -3.6474 -2.5782 -3.0399
H -4.1962 -3.2490 -0.6388
I 4.3124 -0.4127 4.5051
C 3.7989 0.1565 2.5753
C 4.6287 0.9749 1.8286
C 4.2247 1.3262 0.5510
C 3.0257 0.8305 0.0709
N 2.2396 0.0261 0.7822
C 2.6111 -0.2976 2.0224
H 5.5638 1.3354 2.2356
H 4.8302 1.9766 -0.0646
H 2.6765 1.0894 -0.9202
H 1.9344 -0.9345 2.5744
*
```


Formula: C23H22I2MoN5O13S
Source: the Open Molecules 2025 dataset
Level of theory: ωB97M-V/def2-TZVPD

E_HOMO (spin up / spin down) = -12.1 / -12.3 eV
expectation value of S² = 2.013
calculated total energy = -3203.080850 Eh
orbital gap (spin up / spin down) = 0.278 / 0.284 hartree
maximum force = 0.90 eV Å⁻¹
energy relative to the best compared isomer or geometry (same formula, charge and spin) = 0.0 kcal per mole

Structure (ORCA input):
```
! RIJCOSX wB97M-V def2-TZVPD def2/J DEFGRID3
* xyz 1 3
Mo -0.0253 0.5068 1.3172
O 1.9038 -3.9867 -2.4226
C 1.5402 -2.9860 -1.6202
C 2.4573 -2.2333 -0.8748
C 1.9600 -1.2247 -0.0892
N 0.6612 -0.9641 -0.0317
C -0.2199 -1.6606 -0.7420
C 0.1711 -2.6933 -1.5512
C -1.6158 -1.1372 -0.5327
O -2.5990 -1.5594 -1.0595
O -1.5888 -0.1402 0.3630
C 2.7474 -0.2856 0.7882
O 3.9286 -0.3100 0.9260
O 1.9116 0.5967 1.3624
H 2.8593 -4.1270 -2.4101
H 3.5237 -2.4182 -0.9008
H -0.5516 -3.2548 -2.1263
I -0.5801 2.4099 3.3449
C -1.4530 4.1379 2.4261
I -0.1660 5.3185 1.2365
H -1.7762 4.7491 3.2613
H -2.3094 3.8276 1.8408
C -0.2594 -1.1051 -5.7630
C -1.2183 0.0421 -5.4657
S -0.5398 1.0567 -4.1798

Critically, the Russell Group YYYYYYYY has more than three times as many 4* outputs as the new university XXXXXXXX, despite being comparable in terms of external metrics. As the 4* are heavily weighted the effect is that the GPA # measure (roughly money per member of staff) is more than twice as large.
Comparing using the world rankings table: for the new university XXXXXXXX only just over half of their outputs in the top 1% worldwide are likely to be ranked a 4*, whereas for YYYYYYYY nearly all outputs in the top 5% are likely to rank 4*.
As noted it is not generally reliable to do point comparisons on institutions as the output counts are low, and also XXXXXXXX and YYYYYYYY are amongst the more extreme winners and losers (although not the most extreme!). However, they highlight the overall pattern.
At first I thought this institutional difference was due to the sub-area bias, but even when this was taken into account large institutional effects remained; there does appear to be an additional institutional bias.
The sub-area discrepancies will be partly due to experts from one area not understanding the methodologies and quality criteria of other areas. However, the institutional discrepancy is most likely simply a halo effect.
As emphasised in previous posts the computing sub-panels and indeed everyone involved with the REF process worked as hard as possible to ensure that the process was as fair, and, insofar as it was compatible with privacy, as transparent as possible. However, we are human and it is inevitable that to some extent when we see a paper from a ‘good’ institution we are expecting it to be good and visa versa.
These effects may actually be relatively small individually, but the heavy weighting of 4* is likely to exacerbate even small bias. In most statistical distributions, relatively small shifts of the mean can make large changes at the extremity.
By focusing on 4*, in order to be more ‘selective’ in funding, it is likely that the eventual funding metric is more noisy and more susceptible to emergent bias. Note how the GPA measure seemed far more robust, with REF results close to the citation predictions.
While HEFCE has shifted REF2014 funding more heavily towards 4*, the Scottish Funding Council has shifted slightly the other way from 3.11:1 for RAE2008, to 3:1 for REF2014 (see THES: Edinburgh and other research-intensives lose out in funding reshuffle). This has led to complaints that it is ‘defunding research excellence‘. To be honest, this shift will only marginally reduce institutional bias, but at least appears more reliable than the English formula.
Finally, it should be noted that while there appear to be overall trends favouring Russell Group and old universities compared with post-1992 (new) universities; this is not uniform. For example, UCL, with the largest ‘power’ rating and large enough that it is sensible to look at individually, is dead on the overall prediction line.